8. Students who want for the work of their major department a back-
, ground in the foundations of Western civilization through courses in Greek,
: Latin, Hebrew, Arabic, or ancient civilization.
9. Students who wish, through Greek and Latin, to build the background
of their English vocabulary for use in the learned professions (law, medicine,
teaching, the ministry, etc.) or in literary or public work.
10. Students who want to fulfill through Greek or Latin or Hebrew or
Arabic the foreign language requirement or course requirements.
# Next to the entry, the page also holds calculated crystals
'''
No. 1
Starting from a cell relaxed with PBE, the powder diffractogram of TbPm2PrSm4 was simulated for Cu Kα, 1.54184 Å.

Peak list (10 most intense, 2θ = 10–90°, low angle first)
26.65°, I 52, hkl 0 4 0
29.82°, I 75, hkl 4 0 -2
29.91°, I 39, hkl 4 0 0
40.44°, I 100, hkl 4 4 0
52.93°, I 14, hkl 4 0 2
53.11°, I 8, hkl 8 0 -2
60.23°, I 19, hkl 4 4 2
60.39°, I 10, hkl 8 4 -2
63.74°, I 26, hkl 4 8 0
79.75°, I 8, hkl 4 8 2

Crystal structure
```
data_TbPm2PrSm4
_chemical_formula_sum 'Tb4 Pm8 Pr4 Sm16'
_cell_length_a 13.7953
_cell_length_b 13.3819
_cell_length_c 6.9254
_cell_angle_alpha 90.00
_cell_angle_beta 119.98
_cell_angle_gamma 90.00
_space_group_name_H-M_alt 'C 1 2/c 1'
_space_group_IT_number 15
loop_
_space_group_symop_operation_xyz
'x,y,z'
'-x,-y,-z'
'-x,y,-z+1/2'
'x,-y,z+1/2'
'x+1/2,y+1/2,z'
'-x+1/2,-y+1/2,-z'
'-x+1/2,y+1/2,-z+1/2'
'x+1/2,-y+1/2,z+1/2'
loop_
_atom_site_label
_atom_site_type_symbol
_atom_site_fract_x
_atom_site_fract_y
_atom_site_fract_z
_atom_site_occupancy
Tb1 Tb 0.0000 0.0000 0.0000 1
Pm1 Pm 0.0000 0.5000 0.0000 1
Pm2 Pm 0.2500 0.2500 0.0000 1
Pr1 Pr 0.2500 0.2500 0.5000 1
Sm1 Sm 0.0008 0.2470 0.5018 1
Sm2 Sm 0.2477 0.0008 0.9621 1
```

=====

No. 2
Starting from a cell relaxed with PBE, the powder diffractogram of PmPr2SmTl2 was simulated for Cu Kα, 1.54184 Å.

Peak list (10 most intense, 2θ = 10–90°, low angle first)
28.91°, I 10, hkl 0 3 1
30.92°, I 100, hkl 1 3 0
31.07°, I 15, hkl 0 2 2
32.09°, I 53, hkl 1 1 2
33.61°, I 19, hkl 1 3 1
33.93°, I 38, hkl 2 0 0
36.77°, I 15, hkl 0 3 2
46.66°, I 10, hkl 2 2 2
50.89°, I 12, hkl 2 3 2
58.86°, I 24, hkl 3 3 0

Crystal structure
```
data_PmPr2SmTl2
_chemical_formula_sum 'Pm2 Pr4 Sm2 Tl4'
_cell_length_a 5.2845
_cell_length_b 10.3532
_cell_length_c 6.9263
_cell_angle_alpha 90.00
_cell_angle_beta 90.00
_cell_angle_gamma 90.00
_space_group_name_H-M_alt 'P m c 21'
_space_group_IT_number 26
loop_
_space_group_symop_operation_xyz
'x,y,z'
'-x,-y,z+1/2'
'-x,y,z'
'x,-y,z+1/2'
loop_
_atom_site_label
_atom_site_type_symbol
_atom_site_fract_x
_atom_site_fract_y
_atom_site_fract_z
_atom_site_occupancy
Pm1 Pm 0.0000 0.1818 0.0000 1
Pr1 Pr 0.0000 0.4574 0.3668 1
Pr2 Pr 0.5000 0.3154 0.6339 1
Sm1 Sm 0.5000 0.0420 0.2732 1
Tl1 Tl 0.0000 0.1323 0.5264 1
Tl2 Tl 0.5000 0.3585 0.1082 1
```

=====

No. 3
Starting from a cell relaxed with PBE, the powder diffractogram of PmPrSm2Tl2 was simulated for Cu Kα, 1.54184 Å.

Peak list (10 most intense, 2θ = 10–90°, low angle first)
29.06°, I 13, hkl 0 3 1
30.98°, I 42, hkl 1 0 2
31.14°, I 100, hkl 1 3 0
32.21°, I 65, hkl 1 1 2
33.79°, I 25, hkl 1 3 1
34.12°, I 47, hkl 2 0 0
36.93°, I 19, hkl 0 3 2
51.15°, I 15, hkl 2 3 2
59.11°, I 16, hkl 3 0 2
59.22°, I 13, hkl 3 3 0

Crystal structure
```
data_PmPrSm2Tl2
_chemical_formula_sum 'Pm2 Pr2 Sm4 Tl4'
_cell_length_a 5.2561
_cell_length_b 10.2933
_cell_length_c 6.9082
_cell_angle_alpha 90.00
_cell_angle_beta 90.00
_cell_angle_gamma 90.00
_space_group_name_H-M_alt 'P m c 21'
_space_group_IT_number 26
loop_
'''
# So much for the calculated crystals
The emphasis in this department will be threefold:
,_ 1. On interpreting Classical, Hebraic, and general Middle Eastern culture
in its relation to Western Civilization.
2. On learning to read Greek, Latin, Hebrew and Arabic-according to
the individual student’s needs and preferences.
3. On developing a background for Classical or Semitic scholarship for
those who will teach or do graduate work or research in these fields.
The student, in working out his major, 1nay place emphasis on Creek,
Here the page breaks off for records of crystals:
Record 1
Simulated X-ray diffraction stick pattern of ZnCdGaAu for Cu Kα, 1.54184 Å, from the GGA-PBE geometry in Alexandria.
Peak positions follow from Bragg's law for the DFT cell and can differ from measured ones.

Principal peaks in the range 10 to 90 degrees two-theta, in order of rising 2θ:
22.93°, I = 20, (1 1 1)
26.53°, I = 4, (2 0 0)
37.88°, I = 100, (2 2 0)
44.74°, I = 11, (3 1 1)
46.84°, I = 1, (2 2 2)
54.64°, I = 17, (4 0 0)
60.02°, I = 5, (3 3 1)
61.75°, I = 2, (4 2 0)
68.41°, I = 34, (4 2 2)
73.20°, I = 4, (5 1 1)
80.95°, I = 11, (4 4 0)
85.50°, I = 4, (5 3 1)

Cell and atoms:
```
data_ZnCdGaAu
_cell_length_a 6.719
_cell_length_b 6.719
_cell_length_c 6.719
_cell_angle_alpha 90.00
_cell_angle_beta 90.00
_cell_angle_gamma 90.00
_symmetry_space_group_name_H-M 'F -4 3 m'
_symmetry_Int_Tables_number 216
_symmetry_space_group_name_Hall 'F -4 2 3'
loop_
_atom_site_label
_atom_site_fract_x
_atom_site_fract_y
_atom_site_fract_z
_atom_site_occupancy
Zn1 0.000 0.000 0.000 1
Cd1 0.250 0.250 0.750 1
Ga1 0.250 0.250 0.250 1
Au1 0.000 0.000 0.500 1
```

=====

Record 2
Simulated X-ray diffraction stick pattern of ZrCd2GaAu for Cu Kα, 1.54184 Å, from the GGA-PBE geometry in Alexandria.
Peak positions follow from Bragg's law for the DFT cell and can differ from measured ones.

Principal peaks in the range 10 to 90 degrees two-theta, in order of rising 2θ:
15.52°, I = 56, (1 0 0)
27.98°, I = 100, (1 1 1)
31.33°, I = 80, (2 0 0)
34.50°, I = 31, (0 0 2)
35.14°, I = 16, (2 1 0)
44.89°, I = 29, (2 2 0)
47.28°, I = 50, (2 0 2)
53.73°, I = 32, (3 1 1)
57.84°, I = 40, (2 2 2)
74.27°, I = 13, (4 2 0)
76.09°, I = 23, (4 0 2)
84.54°, I = 18, (4 2 2)

Cell and atoms:
```
data_ZrCd2GaAu
_cell_length_a 5.711
_cell_length_b 5.711
_cell_length_c 5.200
_cell_angle_alpha 90.00
_cell_angle_beta 90.00
_cell_angle_gamma 90.00
_symmetry_space_group_name_H-M 'P 4/m m m'
_symmetry_Int_Tables_number 123
_symmetry_space_group_name_Hall '-P 4 2'
loop_
_atom_site_label
_atom_site_fract_x
_atom_site_fract_y
_atom_site_fract_z
_atom_site_occupancy
Zr1 0.000 0.000 0.000 1
Cd1 0.000 0.500 0.000 1
Ga1 0.500 0.500 0.500 1
Au1 0.000 0.000 0.500 1
```

=====

Record 3
Simulated X-ray diffraction stick pattern of K2CdGeAu6 for Cu Kα, 1.54184 Å, from the GGA-PBE geometry in Alexandria.
Peak positions follow from Bragg's law for the DFT cell and can differ from measured ones.

Principal peaks in the range 10 to 90 degrees two-theta, in order of rising 2θ:
14.31°, I = 100, (0 0 3)
17.42°, I = 43, (0 1 2)
28.15°, I = 37, (0 1 5)
30.91°, I = 60, (2 0 2)
35.26°, I = 41, (0 2 4)
38.23°, I = 47, (2 0 5)
39.46°, I = 38, (2 1 1)
40.38°, I = 45, (1 2 2)
43.91°, I = 32, (0 0 9)
45.35°, I = 27, (0 2 7)
47.12°, I = 37, (0 3 3)
54.04°, I = 32, (3 0 6)

Cell and atoms:
```
data_K2CdGeAu6
_cell_length_a 7.0308
_cell_length_b 7.0308
_cell_length_c 18.5642
_cell_angle_alpha 90.00
_cell_angle_beta 90.00
_cell_angle_gamma 120.00
or on Latin, or on Classical civilization, or on Hebrew and Hebraic civilization,
or on Arabic and Middle Eastern studies, or on a combination of these.
To this end, six majors are offered: Latin, Greek, Classical Civilization, Hebrew
com and Hebraic Civilization, Arabic and Middle Eastern Civilization, and Ancient
and Languages and Civilization.
abic Anthropology is the study of Man in all his aspects, past and present. It
nitic must concern itself with anything that concerns Man, and thus it synthesizes
€V€ll the materials of a large number of separate studies and disciplines in both the
social and biological sciences. Basically, anthropology is divided into (1) Phy-
~lds; sical Anthropology, which deals with man’s origin, evolution, and growth, the
These data records were left in the article by mistake:
Record 1
PrCuSb2Pd4: computed powder diffractogram (copper Kα), based on the PBE geometry in Alexandria.
Neutral-atom scattering factors, no anomalous dispersion.

The 6 most intense peaks (15 to 90 degrees two-theta), in order of rising 2θ:
d 3.135, I 21
d 2.704, I 18
d 2.510, I 75
d 2.261, I 100
d 1.680, I 22
d 1.349, I 21

Structural model:
a b c (Å): 9.101 9.101 9.101
angles (deg): 28.77 28.77 28.77
Element x y z (fractional)
Pr: 0.000 0.000 0.000
Cu: 0.500 0.500 0.500
Sb: 0.243 0.243 0.243
Sb: 0.757 0.757 0.757
Pd: 0.138 0.138 0.138
Pd: 0.402 0.402 0.402
Pd: 0.598 0.598 0.598
Pd: 0.862 0.862 0.862

Record 2
PrCuSi2Pd: computed powder diffractogram (copper Kα), based on the PBE geometry in Alexandria.
Neutral-atom scattering factors, no anomalous dispersion.

The 6 most intense peaks (15 to 90 degrees two-theta), in order of rising 2θ:
d 3.858, I 32
d 2.614, I 34
d 2.547, I 100
d 2.089, I 38
d 1.632, I 16
d 1.278, I 22

Structural model:
a b c (Å): 5.831 5.831 5.831
angles (deg): 138.02 138.02 60.87
Element x y z (fractional)
Pr: 0.000 0.000 0.000
Cu: 0.750 0.250 0.500
Si: 0.380 0.380 0.000
Si: 0.620 0.620 0.000
Pd: 0.250 0.750 0.500

Record 3
Pr3Zn2CuPd9: computed powder diffractogram (copper Kα), based on the PBE geometry in Alexandria.
Neutral-atom scattering factors, no anomalous dispersion.

The 6 most intense peaks (15 to 90 degrees two-theta), in order of rising 2θ:
d 2.890, I 100
d 2.286, I 90
d 1.865, I 48
d 1.446, I 41
d 1.411, I 22
d 1.142, I 19

Structural model:
a b c (Å): 7.459 7.459 6.470
angles (deg): 90.00 90.00 120.00
Element x y z (fractional)
Pr: 0.000 0.000 0.000
Pr: 0.333 0.667 0.665
Pr: 0.667 0.333 0.335
Zn: 0.333 0.667 0.168
Zn: 0.667 0.333 0.832
Cu: 0.000 0.000 0.500
Pd: 0.000 0.500 0.000
Pd: 0.167 0.334 0.336
Pd: 0.167 0.833 0.336
Pd: 0.334 0.167 0.664
Pd: 0.500 0.000 0.000
Pd: 0.500 0.500 0.000
Pd: 0.666 0.833 0.336
Pd: 0.833 0.167 0.664
Pd: 0.833 0.666 0.664

Record 4
Cu2Pd8Pt3: computed powder diffractogram (copper Kα), based on the PBE geometry in Alexandria.
Neutral-atom scattering factors, no anomalous dispersion.

The 6 most intense peaks (15 to 90 degrees two-theta), in order of rising 2θ:
d 2.575, I 22
d 2.167, I 100
d 2.115, I 26
d 1.836, I 18
d 1.231, I 14
d 1.114, I 15

Structural model:
a b c (Å): 8.133 8.133 3.671
angles (deg): 90.00 90.00 117.33
Element x y z (fractional)
Cu: 0.234 0.766 0.000
Cu: 0.766 0.234 0.000
Pd: 0.104 0.896 0.500
Pd: 0.110 0.398 0.000
Pd: 0.353 0.647 0.500
Pd: 0.398 0.110 0.000
Pd: 0.602 0.890 0.000
Pd: 0.647 0.353 0.500
Pd: 0.890 0.602 0.000
Pd: 0.896 0.104 0.500
Pt: 0.267 0.267 0.500
Pt: 0.500 0.500 0.000
Pt: 0.733 0.733 0.500
idle relationships of races, and llltiI`l,S physical response to his total environment; and
lgm- (2) Cultural Anthropology, which includes prehistory (or archaeology), and
ethnology (or social anthropology), the study of the culture of various so-
the cieties. Attention has been directed chiefly toward “primitive” peoples, in the
attempt to learn how such aspects of man’s behavior as religion, language.
. social controls, and economic activities have developed and interacted on each
{mg other. But "civilized” groups, as well, are studied with the broad viewpoint
mm and emphasis on understanding the total scope of man’s life.
\rVhile many of the Department’s advanced courses are planned for stu-
mm dents interested in professional training, the introductory courses Anthropology
jim, 1 and 2 should be of much wider interest. They survey the entire field, and
thc show the relations between all the facets of human activity, throughout man’s
long occupation of the earth. These courses emphasize the essential unity of
for mankind and furnish a basis for further work in many different fields of the
the social and biological sciences. In addition, properly qualified students in other
pre- departments will find the advanced courses sufficiently broad in scope to be of
1dio value to them. Anthropology 142, Culture and Personality, is of particular
tire- interest to Psychology majors.
Students who intend to major in Anthropology should know that advanced
the degrees are required by nearly all institutions that hire professional anthro-
lma pologists. However, smaller colleges are adding Anthropology to their curricula.
Bam Properly qualified anthropologists presently have a wide variety of employ-
will ment possibilities, not only in teaching or research, but in the many practical
applications of this field.